I have my own fandom

Rubbing her arms, Mun Soyoon tottles toward the stairs when she hears a sound coming from the kitchen. She halts in her track and turns her around slightly. The mischief from eyes is replaced by a hint of melancholy. A smile forms on her lips.

In the kitchen, Yeon-Sik stands on his toes to get the whiskey bottle that he hid on the top shelf. There's a certain student in the house who can't tell a difference between whiskey and water. He wonders why he put it so high that even he can't get it now. Chang Seol can't get it even if she gets a stool to stand upon.

After struggling for a while, he manages to bring it down. He has given up on sleep tonight. What is he going to do in the lectures tomorrow? Surely, a professor can't sleep in his classes. Well, he will take naps in his office if he gets time.

As he pours himself a glass of whiskey, he wonders what his insomniac friend is going to do. Maybe he has contracted insomnia from Sin Jeong-Hyuk. How else can he explain being awake at this hour and pouring himself some alcohol?

There's a chuckle.

Namgung Yeon-Sik straightens his back. That chuckle was certainly… He looks up and finds Mun Soyoon standing right in front of him. He puts down the bottle and puts up his usual-polite-but-distant-face. "Can't sleep?"

'''
[1]
C34H35N2OPt | ωB97M-V/def2-TZVPD

Summary:
Charge: +1
Spin multiplicity: 5
E_tot: -44088.3010 eV

Each line ends with the Löwdin charge.
Cartesian coordinates (Å):
C: -0.1825 -1.9248 0.4238  -0.2639
C: -0.8488 -1.1393 1.4910  -0.1759
C: -2.2352 -1.0335 1.1066  -0.0879
H: -0.4357 -1.0612 2.4961  0.1084
C: -2.3897 -1.5855 -0.1934  -0.0951
C: -1.1629 -2.1059 -0.6370  -0.0600
H: -3.3394 -1.7097 -0.7133  0.1004
C: 2.8671 1.5628 0.7127  -0.0739
C: 2.5076 1.0992 1.9959  -0.0872
C: 1.1072 1.2226 2.1685  -0.0700
H: 3.2115 0.7387 2.7629  0.1250
C: 0.5485 1.9180 0.9791  -0.3468
C: 1.7036 2.0409 0.0359  -0.1076
H: -3.0461 -0.7014 1.7583  0.1179
H: -0.9841 -2.7243 -1.5119  0.1175
H: 0.6455 -2.5872 0.6577  0.1020
H: 1.6913 2.6429 -0.8797  0.1181
H: 0.5651 0.9915 3.0919  0.1157
H: 3.9046 1.6036 0.3510  0.1294
Pt: 0.3704 0.0892 0.0190  1.2057
C: -0.7565 2.7545 0.9134  -0.4643
C: -0.4856 4.0910 0.2195  -0.0217
C: -1.2986 2.9840 2.3297  -0.0336
H: 0.2708 4.6410 0.7985  0.1059
H: -1.4178 4.6703 0.1772  0.1024
H: -0.1017 3.9393 -0.7965  0.0791
H: -0.5394 3.4749 2.9571  0.1017
H: -1.5990 2.0282 2.7894  0.0931
H: -2.1850 3.6325 2.2495  0.0986
C: -1.8721 1.9157 0.1870  -0.0784
C: -2.1154 2.1315 -1.2708  -0.4120
H: -2.8306 1.9953 0.6990  0.0808
H: -1.6152 0.8241 0.2807  0.0651
O: -1.2106 1.8891 -2.0729  0.0557
N: -3.4460 2.4694 -1.5533  0.0508
C: -4.4238 1.3719 -1.5910  -0.1277
H: -3.5476 3.1728 -2.2832  0.1428
C: -5.0369 0.9342 -0.2637  -0.2235
C: -5.7707 -0.2584 -0.3090  -0.0708
H: -5.8724 -0.7555 -1.2787  0.1199
C: -6.3837 -0.7889 0.8289  -0.0720
H: -6.9003 -1.7517 0.7599  0.1108
C: -6.3100 -0.0894 2.0423  -0.0872
H: -6.7784 -0.5069 2.9369  0.1070
C: -5.6585 1.1494 2.0890  -0.0752
H: -5.6029 1.7011 3.0340  0.1082
C: -5.0751 1.6903 0.9234  -0.0578
H: -4.6520 2.7005 0.9638  0.1114
H: -3.9935 0.4616 -2.0646  0.1257
H: -5.2517 1.7285 -2.2186  0.1388
C: 0.4541 -1.5828 -4.9649  -0.0536
C: 0.0519 -0.4019 -4.3240  -0.0459
C: 0.5976 -0.1002 -3.0830  -0.0289
C: 1.4583 -1.0041 -2.4210  -0.2866
C: 1.8287 -2.2023 -3.0643  -0.0169
C: 1.3624 -2.4610 -4.3498  -0.0551
N: 1.8431 -0.7395 -1.1114  -0.0364
C: 3.0069 -1.2616 -0.5519  -0.2852
C: 3.0877 -1.6837 0.7985  -0.0490
C: 4.2482 -2.2955 1.2742  -0.0537
C: 5.3624 -2.4074 0.4245  -0.0565
C: 5.3344 -1.8643 -0.8727  -0.0550
C: 4.1627 -1.3028 -1.3663  -0.0216
H: 0.0672 -1.8041 -5.9610  0.1127
H: -0.6544 0.3013 -4.7814  0.1202
H: 0.3436 0.8340 -2.5920  0.0632
H: 2.4868 -2.8982 -2.5434  0.1227
H: 1.7077 -3.3579 -4.8672  0.1148
H: 2.2347 -1.5096 1.4648  0.0886
H: 4.2575 -2.6734 2.3054  0.1189
H: 6.2677 -2.8956 0.7959  0.1130
H: 6.2303 -1.8652 -1.4964  0.1155
H: 4.1073 -0.9049 -2.3846  0.1293

[2]
C34H36AsNP2S3SbZr | ωB97M-V/def2-TZVPD

Summary:
Charge: +2
Energy above the lowest of the compared OMol25 structures with the same formula, charge and spin: 10.9 kcal per mole
Spin multiplicity: 2
E_tot: -157062.4524 eV

Each line ends with the Löwdin charge.
Cartesian coordinates (Å):
Zr: -0.7252 -0.1089 1.8973  0.4043
'''
-- So much for the molecular data --

"I have the same question for you." Mun Soyoon steps forward in a lofty manner and picks up the glass of whiskey that Yeon-Sik poured for himself. She takes a sip, squeezing her eyes as she savours the taste. The taste is sharp, awakening yet drowsing. She meets his cool gaze with a mild smile. "Don't mind it, Professor. I need it more than you do."

"No problem." Yeon-Sik doesn't want to drink anymore. Rather, he wants to go back to his room and waits for morning to arrive. He doesn't know why Mun Soyoon adds to his anxiety. It's probably the way she looks at him. When he's looking at those brown eyes, he can see a knowing glint… as if she can see through him.

Even Eun Bi doesn't look at him like that. Yeon-Sik takes a deep breath, looking away. He clears his throat and says, "You should sleep."

When she doesn't respond to him, Yeon-Sik gives her a glance. The girl is already walking toward her the stairs while holding the glass of whiskey. There's a song on her lips. A soft tune. Something softer than water, tugging the cords of his heart in an intangible way.


Mun Soyoon stops walking. She finishes the whiskey in one gulp and then, she turns around to look at him with the same usual smile that she shows to everyone. "Professor, is something wrong?"

"Oh… I…" Namgung Yeon-Sik avoids her clear but smiling eyes. What should he say? He's neither an artist nor a musician. When did he become crazy like his friend? "It's nothing. Go to sleep. Don't be late tomorrow."

"Some things never change." Mun Soyoon lets out a low laugh, covering her mouth as she spins around. She runs upstairs before Yeon-Sik can interrogate her about her comment.

He shakes his head. His brows are furrowed together, eyeing the top of the stairs. What did she mean? She's too strange. It's better not to bother with her. Namgung Yeon-Sik returns to his room and lays down on the bed.

"Alright." He stares at the ceiling. "100. 99. 98…"

Maybe he will fall asleep this way.


In the morning, Sin Jeong-Hyuk keeps glancing at the top of the stairs. She is an early riser for sure. Now that he thinks about it, she does have characteristics like birds. Why does a kid her age wake up so early in the morning? Isn't it like a rooster?

The hands of the clock keep turning. Chicken doesn't come down. Even his friend, Namgung Yeon-Sik, is awake. After having a quick breakfast, he leaves right away.

Bong-Su gets up and leaves the house in a hurry, saying something about the last date of some job application. After some time, Mun Soyoon comes down, takes an apple from the refrigerator and sits down on the dining table, right opposite him.

"Waiting for her?" She asks him and smiles cunningly.

"I am not." He leans back in the chair, stretching his arms. "It's her decision."

~~~
1.
C27H38ClN4NdO6S2 | ωB97M-V/def2-TZVPD

Cartesian coordinates (Å):
Nd 0.311 0.729 0.187
Cl 2.576 1.188 0.352
S 0.904 -2.037 -0.167
S -1.309 -5.702 0.386
O -2.292 -5.765 -0.794
O -0.160 2.673 0.852
O 0.044 1.289 -1.582
O -0.323 -6.873 0.309
O 0.241 0.243 2.227
O -1.793 0.460 0.229
N 1.189 -0.756 4.032
N -1.390 4.579 0.755
N -2.604 -0.824 -1.479
N -0.263 -4.443 -0.233
C 0.290 -0.171 5.006
C 4.618 1.521 -1.109
C 1.003 -1.328 -4.658
C -2.624 -4.277 3.969
C 1.191 -0.355 2.758
C -1.636 -4.770 1.831
C 1.162 0.873 -3.672
C 1.968 0.471 -5.917
C 2.239 2.136 -1.748
C 0.780 -0.462 -3.598
C -1.004 -3.531 1.773
C -1.225 -2.643 2.827
C -2.579 -0.911 -2.923
C 1.602 -0.866 -5.822
C -0.179 -3.386 0.509
C -2.631 -2.083 -0.754
C 3.320 1.356 -1.824
C -2.379 0.326 -0.859
C 0.958 1.811 -2.505
C -1.027 3.377 0.307
C 2.076 -1.805 4.484
C 2.110 3.365 -0.908
C -2.021 -3.014 3.926
C -2.442 -5.163 2.903
C 1.750 1.329 -4.849
C -2.480 5.314 0.150
C -0.643 5.234 1.807
H -2.787 1.199 -1.386
H 3.057 3.864 -0.723
H 3.279 0.505 -2.495
H -0.369 0.523 4.501
H 4.829 0.653 -0.479
H 2.427 0.844 -6.824
H -3.239 -4.556 4.814
H 1.778 -1.540 -6.652
H 2.041 2.370 -4.923
H 2.568 -2.263 3.631
H 2.095 -0.590 2.198
H -1.844 -1.654 -3.233
H -3.558 -1.202 -3.301
H -1.794 -2.697 -1.077
H -2.176 -2.322 4.743
H -0.819 -1.681 2.821
H -0.303 -0.950 5.486
H 0.295 -0.803 -2.696
H 4.591 2.383 -0.437
H -1.222 5.253 2.731
H -2.112 6.243 -0.288
H 5.464 1.652 -1.779
H 1.648 3.123 0.048
H -1.531 3.046 -0.600
H 0.855 0.358 5.775
H -3.567 -2.601 -0.962
H 0.711 -2.368 -4.576
H -3.231 5.558 0.901
H 1.446 4.083 -1.394
H -2.525 -1.893 0.306
H 0.287 4.705 1.980
H -2.310 0.051 -3.352
H 0.580 2.755 -2.914
H -2.921 -6.133 2.912
H 1.518 -2.575 5.018
H 2.837 -1.404 5.153
H -2.929 4.703 -0.624
H -0.401 6.256 1.519

Atoms 1-6, force components in eV/Å:
Nd 1.5 -6.2 1.5
Cl 3.9 -2.3 7.5
S -1.4 -2.2 1.5
S 4.0 -1.4 -8.2
O 1.0 0.2 4.6
O -1.9 4.5 1.2

As for the spin multiplicity: 4. The value obtained for the total energy is -3539.89927 hartree. As for the HOMO energy (alpha / beta): -6.6 / -6.6 eV. Its lowest unoccupied orbital energy (alpha / beta) is -0.175 / -0.174 eV. Its HOMO-LUMO gap (alpha / beta) is 6.4248 / 6.4249 eV.

***

2.
C3H12N2O2 | ωB97M-V/def2-TZVPD

Cartesian coordinates (Å):
O -0.027 1.695 0.623
O -1.647 0.160 2.261
N -1.308 0.150 -1.577
N 0.902 -0.960 -1.047
C 1.357 -0.343 0.199
C -0.564 -1.001 -1.160
C 1.257 1.221 0.226
H 2.443 -0.477 0.412
H -0.869 0.575 -2.406
H -0.209 1.406 1.517
H 0.952 -0.881 1.085
H 2.076 1.484 0.902
H -1.199 0.883 -0.877
H 1.296 -1.887 -1.116
H -2.224 -0.532 2.607
H -1.619 0.042 1.306
H 1.288 1.676 -0.778
H -1.078 -1.365 -0.233
H -0.827 -1.845 -1.945

Atoms 1-6, force components in eV/Å:
O 0.2 0.2 0.4
O -0.1 -0.1 0.2
N 0.9 1.2 -0.3
N -0.3 0.8 0.4
C 1.1 0.4 0.1
C -1.0 -3.0 -1.3
~~~
(Here the entry continues)

"Is that so?" She props her chin under her hand. "Your girlfriend is awake."

The door of his room opens and Oh Ji Ye comes out. She rubs her eyes as her one opened eye searches for Sin Jeong-Hyuk. When she sees him sitting on the table with a strange girl, her lips curl up into a sneer and disappears before anyone can notice. Smiling warmly, Oh Ji Ye walks to them and takes a seat beside Sin Jeong-Hyuk. There's no change in his expression as she leans on him and holds his arm affectionately. "Did you have breakfast?"

"Waiting," Sin Jeong-Hyuk grumbles. What food? He feels like he hasn't eaten for years. Chicken didn't make dinner or breakfast. He heaves a sigh and looks at the top of the stairs again. His eyes widen. Chicken, dressed in an oversized white shirt and black tights is climbing down the stairs.

"Seol, Darling!" Mun Soyoon waves her arm when Chang Seol heads straight toward the door. "Aren't you going to eat with us?"

The girl turns her body slightly, looking at them calmly. Her eyes meet his eyes for less than a second, moving to Mun Soyoon before he could detect any change of emotions in her eyes. "I am late."

"I am also late." Mun Soyoon beckons her to come closer. "But you need food. How will you get curves if you don't eat?"

"Curves?" Seol shakes her head. "I don't need them. I have my own fandom."

Oh Ji Ye has been watching the interactions with interest. She studies the girl -- the one who is affecting Jeong-Hyuk's heart. The girl is cute but there's nothing that could attract someone like Sin Jeong-Hyuk. Surely, a man would want to pet a little girl's head but he wouldn't sleep with a child. "Fandom?"